== What to do ==
Work out how many lines underneath have the word "sites" in them; a number is enough.
== Source ==
........
Simulated XRD peak list
Compound: V3Co3Te2O16
Radiation: a wavelength of 1.5418 Å
Structure: a crystal structure in Alexandria, relaxed with PBE+U

Atomic structure:
Unit cell a=5.938 b=5.967 c=10.059 alpha=91.48 beta=91.52 gamma=118.69
Space group P1 (No. 1)
Symmetry-distinct sites (fractional):
V  0.000  0.000  0.000 (multiplicity 1)
V  0.089  0.544  0.942 (multiplicity 1)
V  0.234  0.429  0.491 (multiplicity 1)
Co  0.513  0.064  0.943 (multiplicity 1)
Co  0.723  0.410  0.480 (multiplicity 1)
Co  0.733  0.901  0.481 (multiplicity 1)
Te  0.243  0.927  0.281 (multiplicity 1)
Te  0.579  0.581  0.741 (multiplicity 1)
O  0.090  0.089  0.386 (multiplicity 1)
O  0.108  0.611  0.391 (multiplicity 1)
O  0.125  0.846  0.874 (multiplicity 1)
O  0.235  0.428  0.829 (multiplicity 1)
O  0.309  0.170  0.078 (multiplicity 1)
O  0.325  0.703  0.059 (multiplicity 1)
O  0.392  0.288  0.611 (multiplicity 1)
O  0.408  0.714  0.613 (multiplicity 1)
O  0.537  0.543  0.390 (multiplicity 1)
O  0.578  0.093  0.371 (multiplicity 1)
O  0.701  0.401  0.851 (multiplicity 1)
O  0.706  0.889  0.851 (multiplicity 1)
O  0.850  0.700  0.612 (multiplicity 1)
O  0.863  0.771  0.108 (multiplicity 1)
O  0.888  0.245  0.030 (multiplicity 1)
O  0.915  0.267  0.561 (multiplicity 1)

The 8 most intense peaks (10 to 80 degrees two-theta), in order of rising 2θ:
hkl 0 0 2, 17.66°, intensity 40; hkl 0 1 -1, 18.81°, intensity 100; hkl 0 1 1, 19.47°, intensity 100; hkl 1 0 1, 19.56°, intensity 34; hkl -1 1 2, 24.82°, intensity 39; hkl 1 0 -3, 31.10°, intensity 32; hkl 1 -1 3, 31.94°, intensity 40; hkl -1 2 2, 35.38°, intensity 30

~~~~~

Record 1
Diffraction record for HoNi22B6. The powder X-ray diffraction pattern is simulated, not measured: it uses a DFT-relaxed cell (GGA-PBE, Alexandria) and CuKα.
Kinematic intensities with the Lorentz-polarization factor, no thermal factor.

Structural model:
```
data_HoNi22B6
_chemical_formula_sum 'Ho4 Ni88 B24'
_cell_length_a 10.5729
_cell_length_b 10.5729
_cell_length_c 10.5729
_cell_angle_alpha 90.00
_cell_angle_beta 90.00
_cell_angle_gamma 90.00
_symmetry_space_group_name_H-M 'F m -3 m'
_symmetry_Int_Tables_number 225
_symmetry_space_group_name_Hall '-F 4 2 3'
loop_
_atom_site_label
_atom_site_type_symbol
_atom_site_fract_x
_atom_site_fract_y
_atom_site_fract_z
_atom_site_occupancy
Ho1 Ho 0.0000 0.0000 0.0000 1
Ni1 Ni 0.0000 0.1726 0.1726 1
Ni2 Ni 0.1174 0.1174 0.3826 1
Ni3 Ni 0.2500 0.2500 0.2500 1
B1 B 0.0000 0.0000 0.2714 1
```

Top 10 peaks for 2θ = 10–90°, sorted by position:
hkl	2theta	Rel. int.
1 1 1	14.51	9
3 1 1	27.99	11
4 2 0	38.06	8
4 2 2	41.86	34
3 3 3	44.53	100
4 4 0	48.72	23
5 3 1	51.11	10
6 0 0	51.89	14
6 6 0	76.44	22
5 5 5	78.32	15

Record 2
Diffraction record for HoNi6BP. The powder X-ray diffraction pattern is simulated, not measured: it uses a DFT-relaxed cell (GGA-PBE, Alexandria) and CuKα.
Kinematic intensities with the Lorentz-polarization factor, no thermal factor.

Structural model:
```
data_HoNi6BP
_chemical_formula_sum 'Ho4 Ni24 B4 P4'
_cell_length_a 6.4518
_cell_length_b 7.5268
_cell_length_c 10.1449
_cell_angle_alpha 90.00
_cell_angle_beta 90.00
_cell_angle_gamma 90.00
_symmetry_space_group_name_H-M 'I m m a'
_symmetry_Int_Tables_number 74
_symmetry_space_group_name_Hall '-I 2b 2'
loop_
_atom_site_label
_atom_site_type_symbol
_atom_site_fract_x
_atom_site_fract_y
_atom_site_fract_z
_atom_site_occupancy
Ho1 Ho 0.0000 0.2500 0.1800 1
Ni1 Ni 0.0000 0.2500 0.4498 1
Ni2 Ni 0.0000 0.2500 0.8917 1
Ni3 Ni 0.2185 0.0215 0.6248 1
B1 B 0.0000 0.0000 0.5000 1
P1 P 0.2500 0.2500 0.7500 1
```

Top 10 peaks for 2θ = 10–90°, sorted by position:
hkl	2theta	Rel. int.
1 0 3	29.83	29
2 1 1	31.43	41
0 0 4	35.39	20
2 2 0	36.69	100
1 2 3	38.41	47
1 1 4	40.03	41
0 4 0	48.37	29
3 0 3	50.28	19
2 2 4	51.90	35
1 3 4	53.28	18

Record 3
Diffraction record for HoPaB2O8. The powder X-ray diffraction pattern is simulated, not measured: it uses a DFT-relaxed cell (GGA-PBE, Alexandria) and CuKα.
........
== Response ==
1